哪位能帮忙 解释一下 以下例程中 DocumentProperties 各个用法的作用,谢谢。
哪位能帮忙 解释一下 以下例程中 DocumentProperties 各个用法的作用,谢谢。
Public Function SelectForm(FormName As String, ByVal MyhWnd As Long) As Integer
Dim nSize As Long ' Size of DEVMODE
Dim pDevMode As DEVMODE
Dim PrinterHandle As Long ' Handle to printer
Dim hPrtDC As Long ' Handle to Printer DC
Dim PrinterName As String
Dim aDevMode() As Byte ' Working DEVMODE
Dim FormSize As SIZEL
PrinterName = Printer.DeviceName ' Current printer
hPrtDC = Printer.hdc ' hDC for current Printer
' Get a handle to the printer.
If OpenPrinter(PrinterName, PrinterHandle, 0&) Then
' Retrieve the size of the DEVMODE.
nSize = DocumentProperties(MyhWnd, PrinterHandle, PrinterName, 0&,0&, 0&)
' Reserve memory for the actual size of the DEVMODE.
ReDim aDevMode(1 To nSize)
' Fill the DEVMODE from the printer.
nSize = DocumentProperties(MyhWnd, PrinterHandle, PrinterName, aDevMode(1), 0&, DM_OUT_BUFFER)
' Copy the Public (predefined) portion of the DEVMODE.
Call CopyMemory(pDevMode, aDevMode(1), Len(pDevMode))
' Change the appropriate member in the DevMode.
' In this case, you want to change the form name.
pDevMode.dmFormName = FormName & Chr(0) ' Must be NULL terminated!
' Set the dmFields bit flag to indicate what you are changing.
pDevMode.dmFields = DM_FORMNAME
' Copy your changes back, then update DEVMODE.
Call CopyMemory(aDevMode(1), pDevMode, Len(pDevMode))
nSize = DocumentProperties(MyhWnd, PrinterHandle, PrinterName, aDevMode(1), aDevMode(1), DM_IN_BUFFER Or DM_OUT_BUFFER)
nSize = ResetDC(hPrtDC, aDevMode(1)) ' Reset the DEVMODE for the DC.
End Function
The DocumentProperties function retrieves or modifies printer initialization information or displays a printer-configuration dialog box for the specified printer.
LONG DocumentProperties(
HWND hWnd, // handle to window that displays dialog box
HANDLE hPrinter, // handle to printer object
LPTSTR pDeviceName, // pointer to device name
PDEVMODE pDevModeOutput,
// pointer to modified device mode structure
PDEVMODE pDevModeInput, // pointer to original device mode
// structure
DWORD fMode // mode flag
Handle to the parent window of the printer-configuration dialog box.
Handle to a printer object.
Pointer to a null-terminated string that specifies the name of the device for which the printer-configuration dialog box should be displayed.
Pointer to a DEVMODE structure that receives the printer configuration data specified by the user.
Pointer to a DEVMODE structure that the operating system uses to initialize the dialog box controls.
This parameter is only used if the DM_IN_BUFFER flag is set in the fMode parameter. If DM_IN_BUFFER is not set, the operating system uses the printer's default DEVMODE.
Specifies a mask of values that determines the operations the function performs. If this parameter is zero, the DocumentProperties function returns the number of bytes required by the printer driver's DEVMODE data structure. Otherwise, use one or more of the following constants to construct a value for this parameter; note, however, that in order to change the print settings, an application must specify at least one input value and one output value: Value Meaning
DM_IN_BUFFER Input value. Before prompting, copying, or updating, the function merges the printer driver's current print settings with the settings in the DEVMODE structure specified by the pDevModeInput parameter. The function updates the structure only for those members specified by the DEVMODE structure's dmFields member. This value is also defined as DM_MODIFY. In cases of conflict during the merge, the settings in the DEVMODE structure specified by pDevModeInput override the printer driver's current print settings.
DM_IN_PROMPT Input value. The function presents the printer driver's Print Setup dialog box and then changes the settings in the printer's DEVMODE data structure to those values specified by the user. This value is also defined as DM_PROMPT.
DM_OUT_BUFFER Output value. The function writes the printer driver's current print settings, including private data, to the DEVMODE data structure specified by the pDevModeOutput parameter. The caller must allocate a buffer sufficiently large to contain the information. If the bit DM_OUT_BUFFER sets is clear, the pDevModeOutput parameter can be NULL. This value is also defined as DM_COPY.
Return Values
If the fMode parameter is zero, the return value is the size of the buffer required to contain the printer driver initialization data. Note that this buffer can be larger than a DEVMODE structure if the printer driver appends private data to the structure.
If the function displays the initialization dialog box, the return value is either IDOK or IDCANCEL, depending on which button the user selects.
If the function does not display the dialog box and is successful, the return value is IDOK.
• Records of crystals, as found in the file:
____________
Starting from a structure optimized by DFT (PBE), the PXRD pattern of LiCa2CuPt2 was computed for copper Kα.
Peak positions follow from Bragg's law for the DFT cell and can differ from measured ones.

Main lines, most intense first (2θ = 10–90°):
| 2θ/deg | intensity |
| --- | --- |
| 25.10 | 100 |
| 40.04 | 37 |
| 40.25 | 36 |
| 44.31 | 35 |
| 51.48 | 33 |
| 44.05 | 33 |
| 24.96 | 30 |
| 30.79 | 25 |
| 31.06 | 24 |
| 33.33 | 16 |

Atomic structure:
```
LiCa2CuPt2
1.0
-2.9036 7.1342 2.8792
2.9036 -7.1342 2.8792
2.9036 7.1342 -2.8792
Li Ca Cu Pt
2 4 2 4
Direct
0.2500 0.2500 0.0000 Li
0.7500 0.7500 0.0000 Li
0.1693 0.7411 0.9105 Ca
0.3307 0.2411 0.5718 Ca
0.6693 0.7589 0.4282 Ca
0.8307 0.2589 0.0895 Ca
0.2500 0.7500 0.5000 Cu
0.7500 0.2500 0.5000 Cu
0.1152 0.2459 0.3611 Pt
0.3848 0.7459 0.1306 Pt
0.6152 0.2541 0.8694 Pt
____________
If the function fails, the return value is less than zero. To get extended error information, callGetLastError.
The printer object handle identified by the hPrinter parameter can be obtained by calling the OpenPrinter function.
The string pointed to by the pDeviceName parameter can be obtained by calling the GetPrinter function.
Note The DEVMODE structure actually used by a printer driver contains the device-independent part (as defined above) followed by a driver-specific part that varies in size and content with each driver and driver version. Because of this driver dependence, it is very important for applications to query the driver for the correct size of the DEVMODE structure before allocating a buffer for it.
To make changes to print settings that are local to an application, an application should follow these steps:
Get the number of bytes required for the full DEVMODE structure by calling DocumentProperties and specifying zero in the fMode parameter.
Allocate memory for the full DEVMODE structure.
Between two parts of the article: calculated crystals:
<<<
Rb2Np2PdSe6: computed powder diffractogram (Cu Ka), based on a crystal structure in Alexandria, relaxed with GGA-PBE.
Kinematic intensities with the Lorentz-polarization factor, no thermal factor.

Crystal structure
```
Rb2Np2PdSe6
1.0
3.732 -5.710 0.000
3.732 5.710 0.000
-2.272 0.000 8.081
Rb Np Pd Se
2 2 1 6
Cartesian
3.732 3.645 0.000 Rb
3.732 -3.645 0.000 Rb
2.596 1.905 4.040 Np
2.596 -1.905 4.040 Np
-1.136 0.000 4.040 Pd
0.068 1.744 5.478 Se
1.831 0.000 2.162 Se
0.068 -1.744 5.478 Se
5.125 1.744 2.603 Se
3.361 0.000 5.919 Se
5.125 -1.744 2.603 Se
```

Largest 10 diffraction maxima, by angle, 5° ≤ 2θ ≤ 70°:
2θ (°)	d_spacing	I_rel
10.95	8.081	100
24.23	3.673	14
28.43	3.140	49
30.04	2.975	79
36.87	2.438	23
37.74	2.384	13
40.15	2.246	31
43.46	2.082	27
44.70	2.027	12
56.54	1.628	15

* * * * *

# 1
Computed PXRD pattern of Mg3Mo for copper Kα, from a crystal structure in the Materials Project, relaxed with GGA-PBE.
Neutral-atom scattering factors, no anomalous dispersion.

Most intense lines, 15 to 90 degrees two-theta, sorted by position:
h k l	two_theta	Rel. int.
0 0 1	16.4	66
0 1 0	18.1	44
0 1 1	24.5	36
0 0 2	33.0	17
1 0 1	35.4	42
0 2 0	36.6	44
0 1 2	37.9	70
1 1 1	40.0	100
1 2 1	51.8	27
1 0 3	60.5	18
1 3 1	68.2	19
1 2 3	72.9	20

Structure:
Cell: 2.873 4.905 5.421 Å, 90.00 90.00 90.00°
Space group Pmm2 (No. 25)
Unique sites:
Mg 0.000 0.000 0.000 [1 per cell]
Mg 0.000 0.500 0.330 [1 per cell]
Mg 0.500 0.000 0.541 [1 per cell]
Mo 0.500 0.500 0.829 [1 per cell]

=====

# 2
Computed PXRD pattern of Mg3Mo for copper Kα, from a crystal structure in the Materials Project, relaxed with GGA-PBE.
Neutral-atom scattering factors, no anomalous dispersion.

Most intense lines, 15 to 90 degrees two-theta, sorted by position:
h k l	two_theta	Rel. int.
1 0 0	21.2	54
1 1 0	30.1	45
1 1 1	37.1	100
2 0 0	43.1	48
2 1 0	48.5	23
2 1 1	53.4	17
2 2 0	62.5	31
3 0 0	66.8	11
3 1 0	71.0	7
3 1 1	75.0	35
2 2 2	79.0	10
3 2 1	86.7	9

Structure:
Cell: 4.201 4.201 4.201 Å, 90.00 90.00 90.00°
Space group Pm-3m (No. 221)
Unique sites:
Mg 0.000 0.000 0.500 [3 per cell]
Mo 0.500 0.500 0.500 [1 per cell]

=====

# 3
Computed PXRD pattern of Mg3MoN4 for copper Kα, from a crystal structure in the Materials Project, relaxed with GGA-PBE.
Neutral-atom scattering factors, no anomalous dispersion.

Most intense lines, 15 to 90 degrees two-theta, sorted by position:
h k l	two_theta	Rel. int.
1 1 0	15.7	41
1 1 -1	21.4	41
1 1 1	21.5	90
2 0 -1	24.1	43
0 2 1	28.9	100
0 0 2	29.4	60
3 1 0	31.7	77
2 2 -1	34.9	69
4 0 0	39.1	50
4 2 1	49.5	38
0 4 0	50.9	36
0 2 3	51.9	70

Structure:
Cell: 9.208 7.172 6.071 Å, 90.00 90.64 90.00°
Space group C2/m (No. 12)
Unique sites:
Mg 0.114 0.000 0.324 [4 per cell]
Mg 0.117 0.268 0.832 [8 per cell]
Mo 0.170 0.500 0.330 [4 per cell]
N 0.123 0.275 0.180 [8 per cell]
N 0.124 0.000 0.682 [4 per cell]
N 0.144 0.500 0.633 [4 per cell]

=====

# 4
Computed PXRD pattern of Mg3MoN4 for copper Kα, from a crystal structure in the Materials Project, relaxed with GGA-PBE.
>>>
Get the current printer settings by calling DocumentProperties. Pass a pointer to the DEVMODE structure allocated in Step 2 as the pDevModeOutput parameter and specify the DM_OUT_BUFFER value.
Modify the appropriate members of the returned DEVMODE structure and indicate which members were changed by setting the corresponding bits in the dmFields member of the DEVMODE.
Call DocumentProperties and pass the modified DEVMODE structure back as both the pDevModeInput and pDevModeOutput parameters and specify both the DM_IN_BUFFER and DM_OUT_BUFFER values (which are combined using the OR operator).
The DEVMODE structure returned by the third call to DocumentProperties can be used as an argument in a call to the CreateDC function.
To create a handle to a printer-device context using the current printer settings, you only need to call DocumentProperties twice, as described above. The first call gets the size of the full DEVMODE and the second call initializes the DEVMODE with the current printer settings. Pass the initialized DEVMODE to CreateDC to obtain the handle to the printer device context.